View Full Version : Show Invisible Users by Usergroup permissions...

Chris M
07-27-2002, 10:00 PM
Version 1.0:
What does this hack do?
It allows you to set what usergroups can see Invisible users...This means that you no longer have to code the script every time you want a new Usergroup to be able to see Invisible users!

Installation time : 5 mins...

Screenshots :

This is a screenshot from the Admin Cp:
Screenshot (http://www.darkblazes.com/vbhacks/invisible/admincp.jpg)



07-28-2002, 08:57 PM
very usefull i think nice hack

Unrelated to this article: materials data:
********
# 1
Diffraction record for Er2CdOs. The XRD peak list is computed, not measured: it uses a cell relaxed with GGA-PBE and Cu Ka.
Lines closer than 0.1° are merged.

```
Er2CdOs
1.0
0.000 3.516 3.516
3.516 0.000 3.516
3.516 3.516 0.000
Er Cd Os
2 1 1
direct
0.250 0.250 0.250 Er
0.750 0.750 0.750 Er
0.000 0.000 0.000 Cd
0.500 0.500 0.500 Os
```

The 7 most intense peaks (2θ from 5° to 70°), by angle:
| Position (°2θ) | I (rel.) |
| --- | --- |
| 21.9 | 3 |
| 36.1 | 100 |
| 42.6 | 2 |
| 52.0 | 18 |
| 57.1 | 1 |
| 65.0 | 36 |
| 69.4 | 1 |



# 2
Diffraction record for Er4CdPd. The XRD peak list is computed, not measured: it uses a cell relaxed with GGA-PBE and Cu Ka.
Lines closer than 0.1° are merged.

```
Er4CdPd
1.0
0.000 6.800 6.800
6.800 0.000 6.800
6.800 6.800 0.000
Er Cd Pd
16 4 4
direct
0.183 0.183 0.817 Er
0.183 0.817 0.183 Er
0.183 0.817 0.817 Er
0.397 0.397 0.397 Er
0.397 0.397 0.810 Er
0.397 0.810 0.397 Er
0.561 0.561 0.939 Er
0.561 0.939 0.561 Er
0.561 0.939 0.939 Er
0.810 0.397 0.397 Er
0.817 0.183 0.183 Er
0.817 0.183 0.817 Er
0.817 0.817 0.183 Er
0.939 0.561 0.561 Er
0.939 0.561 0.939 Er
0.939 0.939 0.561 Er
0.168 0.168 0.168 Cd
0.168 0.168 0.497 Cd
0.168 0.497 0.168 Cd
0.497 0.168 0.168 Cd
0.182 0.606 0.606 Pd
0.606 0.182 0.606 Pd
0.606 0.606 0.182 Pd
0.606 0.606 0.606 Pd
```

The 10 most intense peaks (2θ from 5° to 70°), by angle:
| Position (°2θ) | I (rel.) |
| --- | --- |
| 28.6 | 26 |
| 32.2 | 48 |
| 34.3 | 100 |
| 37.4 | 30 |
| 39.2 | 6 |
| 51.6 | 8 |
| 55.3 | 9 |
| 57.5 | 45 |
| 58.8 | 13 |
| 68.7 | 16 |



# 3
Diffraction record for Er4CdPt. The XRD peak list is computed, not measured: it uses a cell relaxed with GGA-PBE and Cu Ka.
Lines closer than 0.1° are merged.

```
Er4CdPt
1.0
0.000 6.801 6.801
6.801 0.000 6.801
6.801 6.801 0.000
Er Cd Pt
16 4 4
direct
0.185 0.185 0.815 Er
0.185 0.815 0.185 Er
0.185 0.815 0.815 Er
0.398 0.398 0.398 Er
0.398 0.398 0.805 Er
0.398 0.805 0.398 Er
0.561 0.561 0.939 Er
0.561 0.939 0.561 Er
0.561 0.939 0.939 Er
0.805 0.398 0.398 Er
0.815 0.185 0.185 Er
0.815 0.185 0.815 Er
0.815 0.815 0.185 Er
0.939 0.561 0.561 Er
0.939 0.561 0.939 Er
0.939 0.939 0.561 Er
0.168 0.168 0.168 Cd
0.168 0.168 0.496 Cd
0.168 0.496 0.168 Cd
0.496 0.168 0.168 Cd
0.179 0.607 0.607 Pt
0.607 0.179 0.607 Pt
0.607 0.607 0.179 Pt
0.607 0.607 0.607 Pt
```

The 10 most intense peaks (2θ from 5° to 70°), by angle:
| Position (°2θ) | I (rel.) |
| --- | --- |
| 11.3 | 9 |
| 28.6 | 16 |
| 32.2 | 39 |
| 34.3 | 100 |
| 37.4 | 35 |
| 39.2 | 9 |
| 51.6 | 10 |
| 57.5 | 39 |
| 58.8 | 14 |
| 68.7 | 13 |

* * * * *

LaZn: computed powder X-ray diffraction pattern (Cu Kα (λ = 1.5418 Å)), based on DFT lattice parameters and positions (GGA-PBE).

Crystal structure
```
data_LaZn
_chemical_formula_sum 'La8 Zn8'
********

* Tarion klick install :)

07-28-2002, 09:07 PM
easy but usefull ;)

i like this minihacks ;)

personally i won't use it, it's nice to know i'm the only one seeing invisible users ;)

08-12-2002, 12:11 AM
I will install this...


08-12-2002, 01:10 AM
Can this also be made to allow the Admin to set individual users to be able to see invisible users?

08-12-2002, 01:15 AM
not this hack, it changes the usergrouptable, but it wouldn't be hard:

add a field to user table called canseeinvisible, as you see in the hack for usergroups here

then you'll have to add a yesnocode when you edit users from admin-cp (take a look at user.php i'm sure you can found out how;))

and then you have to modify all the lines hellsatan poste which handles invisible users
where you can read "or $bbuserinfo[usergroupid]==6" just add "or $bbuserinfo[canseeinvisible]"

08-12-2002, 01:18 AM
Great! I'll give it a go. When I get it together. will you look at it for me and make sure I have it right, though? :)

Originally posted by Xenon
not this hack, it changes the usergrouptable, but it wouldn't be hard:

add a field to user table called canseeinvisible, as you see in the hack for usergroups here

then you'll have to add a yesnocode when you edit users from admin-cp (take a look at user.php i'm sure you can found out how;))

and then you have to modify all the lines hellsatan poste which handles invisible users
where you can read "or $bbuserinfo[usergroupid]==6" just add "or $bbuserinfo[canseeinvisible]"

07-26-2003, 01:00 AM
hmm.... after I installed this i got an error when i tried editing a usergroup:

Database error in vBulletin Control Panel 2.3.0:

Invalid SQL: UPDATE usergroup SET title='Super Moderators',usertitle='Super Moderator',cancontrolpanel=0,canmodifyprofile=1,ca nviewmembers=1,canview=1,showgroup=1,cansearch=1,c anemail=1,canpostnew=1,canmove=1,canopenclose=1,ca ndeletethread=1,canreplyown=1,canreplyothers=1,can viewothers=1,caneditpost=1,candeletepost=1,canusep m=1,canpostpoll=1,canvote=1,canpostattachment=1,is moderator=,canseeinvisible=1,canpublicedit=1,canpu blicevent=1,canthreadrate=1,cantrackpm=1,candenypm receipts=1,maxbuddypm=0,maxforwardpm=0,canwhosonli ne=1,canwhosonlineip=1,cangetattachment=1 WHERE usergroupid=5
mysql error: You have an error in your SQL syntax near 'canseeinvisible=1,canpublicedit=1,canpublicevent= 1,canthreadrate=1,cantrackpm=1,' at line 1

mysql error number: 1064

Date: Friday 25th of July 2003 10:01:59 PM
Script: http://www.forevergaming.com/forums/forums/admin/usergroup.php
Referer: http://www.forevergaming.com/forums/admin/usergroup.php?action=edit&usergroupid=5

Any help?

EDIT: well, I fixed that problem but my Smod's still can't see invisible users...

MGM out